### Given
........
Entry 1:
The following is a DFT calculation (PBE) of Na5Nb2Si5Ge2PO24 after structural relaxation.

size of the total moment = 0.000 Bohr magnetons per cell
crystal system = triclinic
corrected total energy (MP2020 scheme) = -7.5660 eV/atom

Cell: 8.8492 8.8508 22.0980 Å, 89.98 90.12 119.97°
Last column: nearest neighbours and their distance in Å.
Fractional coordinates of all 117 atoms:
Na (0.6360, 0.0016, 0.2477)  4 O 2.33-2.51
Na (0.3671, 0.3648, 0.2469)  5 O 2.38-2.57
Na (0.9964, 0.6314, 0.2472)  5 O 2.35-2.56
Na (0.9999, 0.3665, 0.7500)  4 O 2.31-2.50
Na (0.0313, 0.6979, 0.5785)  5 O 2.34-2.53
Na (0.6638, 0.9665, 0.5786)  5 O 2.35-2.49
Na (0.9650, 0.6657, 0.9200)  6 O 2.39-2.63
Na (0.7005, 0.0332, 0.9185)  6 O 2.40-2.64
Na (0.3315, 0.2997, 0.9211)  6 O 2.41-2.59
Na (0.0086, 0.0094, 0.4922)  5 O 2.34-2.59
Na (0.0018, 0.0005, 0.0023)  6 O 2.46-2.56
Na (0.6589, 0.3315, 0.8337)  6 O 2.42-2.55
Na (0.6686, 0.3339, 0.3328)  6 O 2.49-2.60
Na (0.3326, 0.6642, 0.1595)  5 O 2.37-2.65
Na (0.3417, 0.6641, 0.6634)  6 O 2.38-2.66
Nb (0.0029, 0.0033, 0.6441)  6 O 1.94-2.03
Nb (0.0045, 0.9998, 0.1406)  6 O 1.95-2.10
Nb (0.6624, 0.3345, 0.6881)  6 O 1.92-2.08
Nb (0.6691, 0.3322, 0.4739)  6 O 1.96-2.06
Nb (0.3313, 0.6679, 0.3133)  6 O 1.91-2.05
Nb (0.3339, 0.6749, 0.8122)  6 O 1.94-2.05
Si (0.2883, 0.0081, 0.2511)  4 O 1.62-1.65
Si (0.7179, 0.7115, 0.2497)  4 O 1.63-1.65
Si (0.9920, 0.2788, 0.2505)  4 O 1.63-1.65
Si (0.2893, 0.2849, 0.7542)  4 O 1.62-1.64
Si (0.9962, 0.7178, 0.7536)  4 O 1.63-1.65
Si (0.7159, 0.9977, 0.7527)  4 O 1.63-1.64
Si (0.9665, 0.3418, 0.5814)  4 O 1.61-1.66
Si (0.3775, 0.0409, 0.5802)  4 O 1.61-1.66
Si (0.6536, 0.6182, 0.5800)  4 O 1.61-1.66
Si (0.9515, 0.6103, 0.0818)  4 O 1.64-1.66
Si (0.3899, 0.3456, 0.0811)  4 O 1.64-1.66
Si (0.0400, 0.3729, 0.9196)  4 O 1.63-1.66
Si (0.3329, 0.9576, 0.9222)  4 O 1.62-1.66
Si (0.6316, 0.9515, 0.4180)  4 O 1.61-1.65
Si (0.0493, 0.6813, 0.4181)  4 O 1.61-1.66
Ge (0.9945, 0.9938, 0.3535)  6 O 1.88-2.09
Ge (0.0077, 0.0058, 0.8540)  5 O 1.84-1.97
Ge (0.6678, 0.3389, 0.1849)  6 O 1.85-1.99
Ge (0.6655, 0.3287, 0.9839)  5 O 1.82-1.98
Ge (0.3190, 0.6564, 0.0236)  5 O 1.86-2.05
Ge (0.3343, 0.6682, 0.5184)  6 O 1.88-1.98
P (0.6581, 0.0434, 0.0822)  4 O 1.55-1.56
P (0.6225, 0.6679, 0.9194)  4 O 1.54-1.56
P (0.3233, 0.3741, 0.4180)  4 O 1.52-1.57
O (0.2021, 0.0499, 0.3088)  1 Si 1.62
O (0.8447, 0.7948, 0.3083)  1 Si 1.63
O (0.9525, 0.1529, 0.3090)  1 Si 1.63
O (0.2053, 0.1713, 0.8154)  1 Si 1.63
O (0.9692, 0.8049, 0.8144)  1 Si 1.63
O (0.8402, 0.0360, 0.8125)  1 Si 1.64
O (0.8001, 0.9710, 0.6909)  1 Si 1.63
O (0.1627, 0.1963, 0.6952)  1 Si 1.64
O (0.0275, 0.8291, 0.6917)  1 Si 1.63
O (0.8001, 0.8403, 0.1916)  1 Si 1.63
O (0.0374, 0.1976, 0.1916)  1 Si 1.63
O (0.1608, 0.9606, 0.1919)  1 Si 1.64
O (0.8798, 0.3748, 0.6430)  1 Si 1.66
O (0.5045, 0.1324, 0.6400)  1 Si 1.66
O (0.6320, 0.5000, 0.6410)  1 Si 1.66
O (0.8664, 0.4973, 0.1439)  1 Si 1.64
O (0.6323, 0.1275, 0.1404)  1 P 1.56
O (0.5006, 0.3670, 0.1436)  1 Si 1.65
O (0.4696, 0.3039, 0.0204)  1 Si 1.64, 1 Ge 1.82
O (0.8329, 0.5266, 0.0206)  1 Si 1.64, 1 Ge 1.82
O (0.6930, 0.1566, 0.0241)  1 P 1.56
O (0.4693, 0.1682, 0.5236)  1 Si 1.61
O (0.7040, 0.5327, 0.5249)  1 Si 1.61
O (0.8293, 0.2981, 0.5259)  1 Si 1.63
O (0.5395, 0.7078, 0.9740)  1 P 1.54
O (0.1790, 0.4632, 0.9747)  1 Si 1.63
O (0.2916, 0.8192, 0.9766)  1 Si 1.62
O (0.5372, 0.8349, 0.4783)  1 Si 1.64
O (0.3004, 0.4663, 0.4735)  1 P 1.54
O (0.1663, 0.7014, 0.4782)  1 Si 1.64
O (0.1349, 0.6420, 0.3577)  1 Si 1.66
O (0.5077, 0.8606, 0.3578)  1 Si 1.65
O (0.3543, 0.4867, 0.3595)  1 P 1.57
O (0.1240, 0.4960, 0.8588)  1 Si 1.65
O (0.3726, 0.8712, 0.8618)  1 Si 1.66
O (0.5045, 0.6343, 0.8626)  1 P 1.56
O (0.0376, 0.8564, 0.4101)  1 Si 1.61
O (0.8227, 0.9730, 0.4106)  1 Si 1.61
O (0.1615, 0.1953, 0.4116)  1 P 1.52
O (0.0182, 0.1762, 0.9124)  1 Si 1.66
O (0.1560, 0.9739, 0.9135)  1 Si 1.65
O (0.8069, 0.8321, 0.9126)  1 P 1.56
O (0.9740, 0.1620, 0.5871)  1 Si 1.63
........

### What to do
It remains to duplicate all of the material earlier on without additions.

### Worked solution
Entry 1:
The following is a DFT calculation (PBE) of Na5Nb2Si5Ge2PO24 after structural relaxation.

size of the total moment = 0.000 Bohr magnetons per cell
crystal system = triclinic
corrected total energy (MP2020 scheme) = -7.5660 eV/atom

Cell: 8.8492 8.8508 22.0980 Å, 89.98 90.12 119.97°
Last column: nearest neighbours and their distance in Å.
Fractional coordinates of all 117 atoms:
Na (0.6360, 0.0016, 0.2477)  4 O 2.33-2.51
Na (0.3671, 0.3648, 0.2469)  5 O 2.38-2.57
Na (0.9964, 0.6314, 0.2472)  5 O 2.35-2.56
Na (0.9999, 0.3665, 0.7500)  4 O 2.31-2.50
Na (0.0313, 0.6979, 0.5785)  5 O 2.34-2.53
Na (0.6638, 0.9665, 0.5786)  5 O 2.35-2.49
Na (0.9650, 0.6657, 0.9200)  6 O 2.39-2.63
Na (0.7005, 0.0332, 0.9185)  6 O 2.40-2.64
Na (0.3315, 0.2997, 0.9211)  6 O 2.41-2.59
Na (0.0086, 0.0094, 0.4922)  5 O 2.34-2.59
Na (0.0018, 0.0005, 0.0023)  6 O 2.46-2.56
Na (0.6589, 0.3315, 0.8337)  6 O 2.42-2.55
Na (0.6686, 0.3339, 0.3328)  6 O 2.49-2.60
Na (0.3326, 0.6642, 0.1595)  5 O 2.37-2.65
Na (0.3417, 0.6641, 0.6634)  6 O 2.38-2.66
Nb (0.0029, 0.0033, 0.6441)  6 O 1.94-2.03
Nb (0.0045, 0.9998, 0.1406)  6 O 1.95-2.10
Nb (0.6624, 0.3345, 0.6881)  6 O 1.92-2.08
Nb (0.6691, 0.3322, 0.4739)  6 O 1.96-2.06
Nb (0.3313, 0.6679, 0.3133)  6 O 1.91-2.05
Nb (0.3339, 0.6749, 0.8122)  6 O 1.94-2.05
Si (0.2883, 0.0081, 0.2511)  4 O 1.62-1.65
Si (0.7179, 0.7115, 0.2497)  4 O 1.63-1.65
Si (0.9920, 0.2788, 0.2505)  4 O 1.63-1.65
Si (0.2893, 0.2849, 0.7542)  4 O 1.62-1.64
Si (0.9962, 0.7178, 0.7536)  4 O 1.63-1.65
Si (0.7159, 0.9977, 0.7527)  4 O 1.63-1.64
Si (0.9665, 0.3418, 0.5814)  4 O 1.61-1.66
Si (0.3775, 0.0409, 0.5802)  4 O 1.61-1.66
Si (0.6536, 0.6182, 0.5800)  4 O 1.61-1.66
Si (0.9515, 0.6103, 0.0818)  4 O 1.64-1.66
Si (0.3899, 0.3456, 0.0811)  4 O 1.64-1.66
Si (0.0400, 0.3729, 0.9196)  4 O 1.63-1.66
Si (0.3329, 0.9576, 0.9222)  4 O 1.62-1.66
Si (0.6316, 0.9515, 0.4180)  4 O 1.61-1.65
Si (0.0493, 0.6813, 0.4181)  4 O 1.61-1.66
Ge (0.9945, 0.9938, 0.3535)  6 O 1.88-2.09
Ge (0.0077, 0.0058, 0.8540)  5 O 1.84-1.97
Ge (0.6678, 0.3389, 0.1849)  6 O 1.85-1.99
Ge (0.6655, 0.3287, 0.9839)  5 O 1.82-1.98
Ge (0.3190, 0.6564, 0.0236)  5 O 1.86-2.05
Ge (0.3343, 0.6682, 0.5184)  6 O 1.88-1.98
P (0.6581, 0.0434, 0.0822)  4 O 1.55-1.56
P (0.6225, 0.6679, 0.9194)  4 O 1.54-1.56
P (0.3233, 0.3741, 0.4180)  4 O 1.52-1.57
O (0.2021, 0.0499, 0.3088)  1 Si 1.62
O (0.8447, 0.7948, 0.3083)  1 Si 1.63
O (0.9525, 0.1529, 0.3090)  1 Si 1.63
O (0.2053, 0.1713, 0.8154)  1 Si 1.63
O (0.9692, 0.8049, 0.8144)  1 Si 1.63
O (0.8402, 0.0360, 0.8125)  1 Si 1.64
O (0.8001, 0.9710, 0.6909)  1 Si 1.63
O (0.1627, 0.1963, 0.6952)  1 Si 1.64
O (0.0275, 0.8291, 0.6917)  1 Si 1.63
O (0.8001, 0.8403, 0.1916)  1 Si 1.63
O (0.0374, 0.1976, 0.1916)  1 Si 1.63
O (0.1608, 0.9606, 0.1919)  1 Si 1.64
O (0.8798, 0.3748, 0.6430)  1 Si 1.66
O (0.5045, 0.1324, 0.6400)  1 Si 1.66
O (0.6320, 0.5000, 0.6410)  1 Si 1.66
O (0.8664, 0.4973, 0.1439)  1 Si 1.64
O (0.6323, 0.1275, 0.1404)  1 P 1.56
O (0.5006, 0.3670, 0.1436)  1 Si 1.65
O (0.4696, 0.3039, 0.0204)  1 Si 1.64, 1 Ge 1.82
O (0.8329, 0.5266, 0.0206)  1 Si 1.64, 1 Ge 1.82
O (0.6930, 0.1566, 0.0241)  1 P 1.56
O (0.4693, 0.1682, 0.5236)  1 Si 1.61
O (0.7040, 0.5327, 0.5249)  1 Si 1.61
O (0.8293, 0.2981, 0.5259)  1 Si 1.63
O (0.5395, 0.7078, 0.9740)  1 P 1.54
O (0.1790, 0.4632, 0.9747)  1 Si 1.63
O (0.2916, 0.8192, 0.9766)  1 Si 1.62
O (0.5372, 0.8349, 0.4783)  1 Si 1.64
O (0.3004, 0.4663, 0.4735)  1 P 1.54
O (0.1663, 0.7014, 0.4782)  1 Si 1.64
O (0.1349, 0.6420, 0.3577)  1 Si 1.66
O (0.5077, 0.8606, 0.3578)  1 Si 1.65
O (0.3543, 0.4867, 0.3595)  1 P 1.57
O (0.1240, 0.4960, 0.8588)  1 Si 1.65
O (0.3726, 0.8712, 0.8618)  1 Si 1.66
O (0.5045, 0.6343, 0.8626)  1 P 1.56
O (0.0376, 0.8564, 0.4101)  1 Si 1.61
O (0.8227, 0.9730, 0.4106)  1 Si 1.61
O (0.1615, 0.1953, 0.4116)  1 P 1.52
O (0.0182, 0.1762, 0.9124)  1 Si 1.66
O (0.1560, 0.9739, 0.9135)  1 Si 1.65
O (0.8069, 0.8321, 0.9126)  1 P 1.56
O (0.9740, 0.1620, 0.5871)  1 Si 1.63